Find the line further below that holds "formula", then repeat that line and all lines after it there.
=====
# 1
{
  "formula": "C29H47I2IrN10O",
  "method": "wB97M-V/def2-TZVPD",
  "species": ["Ir", "I", "I", "O", "N", "N", "N", "N", "N", "N", "N", "N", "N", "N", "C", "C", "C", "C", "C", "C", "C", "C", "C", "C", "C", "C", "C", "C", "C", "C", "C", "C", "C", "C", "C", "C", "C", "C", "C", "C", "C", "C", "C", "H", "H", "H", "H", "H", "H", "H", "H", "H", "H", "H", "H", "H", "H", "H", "H", "H", "H", "H", "H", "H", "H", "H", "H", "H", "H", "H", "H", "H", "H", "H", "H", "H", "H", "H", "H", "H", "H", "H", "H", "H", "H", "H", "H", "H", "H", "H"],
  "xyz": [[0.58651, 0.26120, -0.21212], [0.87991, -4.52140, 1.17088], [5.74131, -5.80170, -2.16902], [1.80221, -1.70130, 0.31868], [1.11141, 2.57930, -1.09182], [-1.10649, -1.98680, -2.31982], [2.97811, 0.35510, -1.08852], [0.36541, 0.13710, 2.10018], [-1.71229, 1.34040, -0.67372], [1.49261, -0.03520, 4.24518], [2.01881, 1.59770, 2.86038], [-2.85059, -2.55670, -1.08452], [-0.97369, -1.39490, -0.07812], [-2.96089, 0.66990, -0.67542], [3.16081, 1.55270, -1.90852], [2.37841, 2.75480, -1.47762], [0.86661, 4.96730, -0.99692], [2.44641, 0.77190, 4.99438], [-4.16069, 2.33730, 0.67018], [0.38611, 3.67810, -0.86952], [4.48571, -3.05790, -1.69952], [-1.61589, -1.96710, -1.05432], [2.19561, 5.14500, -1.35242], [3.37621, -4.83020, -0.50692], [-4.18629, 1.49330, -0.60512], [2.59751, -2.49700, -0.25532], [0.09521, -1.33120, -2.74152], [1.78121, 2.66460, 1.93968], [2.50421, -3.90670, 0.00058], [2.95401, 4.01660, -1.60342], [2.83201, 1.88340, 4.02398], [3.74161, -0.72060, -1.72922], [4.39371, -4.40460, -1.35722], [1.21281, 0.51150, 3.03208], [-4.35069, 2.39440, -1.83522], [-1.49349, -1.33480, 1.26998], [-0.40739, -1.07200, 2.31438], [3.61951, -2.11860, -1.18222], [-3.60189, -3.16770, -0.01272], [-3.13259, -3.08170, -2.41522], [-5.32609, 0.47530, -0.54552], [-2.10009, -2.38740, -3.29362], [0.85981, -1.08600, 5.01018], [-2.51949, -1.51460, -3.81292], [3.37651, 0.50930, -0.16152], [2.60301, 2.88070, 4.41458], [-0.11219, -0.77020, 5.40068], [1.45271, 3.56610, 2.46718], [2.80631, 1.30280, -2.91802], [-3.88989, 1.72870, 1.52948], [2.69681, 2.90230, 1.39518], [-2.25369, -0.54790, 1.32058], [3.26581, -5.87740, -0.27372], [-0.01329, -0.23490, -2.79282], [-0.91439, -1.03090, 3.28058], [1.50461, -1.30620, 5.86048], [-3.51239, 3.08160, -1.94772], [-5.36639, -0.10560, -1.46452], [-6.28079, 0.97720, -0.42182], [5.23591, -2.74640, -2.40992], [0.21391, 5.80710, -0.81722], [0.74401, -2.00290, 4.44098], [-3.46829, 3.17420, 0.58988], [-1.58469, 1.91720, -1.51192], [0.90121, -1.58840, -2.05512], [-4.52509, -3.55430, -0.44112], [-1.71979, 1.93600, 0.15358], [-3.87099, -2.44150, 0.74878], [-5.14769, 2.75430, 0.84468], [0.27191, -1.92720, 2.29288], [-4.16009, -2.84470, -2.69642], [-4.43849, 1.79750, -2.74062], [2.62131, 6.13060, -1.45002], [3.30401, 0.15770, 5.28148], [-5.25369, 2.98980, -1.73902], [4.81101, -0.45520, -1.74182], [3.41851, -0.76680, -2.77682], [0.36151, -1.69840, -3.73222], [-0.64159, 3.53320, -0.57522], [3.98681, 4.10610, -1.90092], [-3.01379, -4.17090, -2.43192], [-1.66929, -3.05030, -4.04442], [1.00361, 2.34540, 1.24848], [-3.06579, -4.00500, 0.44338], [4.22221, 1.82460, -2.00082], [-3.01429, 0.06450, -1.48862], [1.97921, 1.15600, 5.90728], [-5.17939, -0.20470, 0.28958], [-1.94299, -2.28520, 1.56578], [3.89271, 1.86110, 3.75618]],
=====
  "formula": "C29H47I2IrN10O",
  "method": "wB97M-V/def2-TZVPD",
  "species": ["Ir", "I", "I", "O", "N", "N", "N", "N", "N", "N", "N", "N", "N", "N", "C", "C", "C", "C", "C", "C", "C", "C", "C", "C", "C", "C", "C", "C", "C", "C", "C", "C", "C", "C", "C", "C", "C", "C", "C", "C", "C", "C", "C", "H", "H", "H", "H", "H", "H", "H", "H", "H", "H", "H", "H", "H", "H", "H", "H", "H", "H", "H", "H", "H", "H", "H", "H", "H", "H", "H", "H", "H", "H", "H", "H", "H", "H", "H", "H", "H", "H", "H", "H", "H", "H", "H", "H", "H", "H", "H"],
  "xyz": [[0.58651, 0.26120, -0.21212], [0.87991, -4.52140, 1.17088], [5.74131, -5.80170, -2.16902], [1.80221, -1.70130, 0.31868], [1.11141, 2.57930, -1.09182], [-1.10649, -1.98680, -2.31982], [2.97811, 0.35510, -1.08852], [0.36541, 0.13710, 2.10018], [-1.71229, 1.34040, -0.67372], [1.49261, -0.03520, 4.24518], [2.01881, 1.59770, 2.86038], [-2.85059, -2.55670, -1.08452], [-0.97369, -1.39490, -0.07812], [-2.96089, 0.66990, -0.67542], [3.16081, 1.55270, -1.90852], [2.37841, 2.75480, -1.47762], [0.86661, 4.96730, -0.99692], [2.44641, 0.77190, 4.99438], [-4.16069, 2.33730, 0.67018], [0.38611, 3.67810, -0.86952], [4.48571, -3.05790, -1.69952], [-1.61589, -1.96710, -1.05432], [2.19561, 5.14500, -1.35242], [3.37621, -4.83020, -0.50692], [-4.18629, 1.49330, -0.60512], [2.59751, -2.49700, -0.25532], [0.09521, -1.33120, -2.74152], [1.78121, 2.66460, 1.93968], [2.50421, -3.90670, 0.00058], [2.95401, 4.01660, -1.60342], [2.83201, 1.88340, 4.02398], [3.74161, -0.72060, -1.72922], [4.39371, -4.40460, -1.35722], [1.21281, 0.51150, 3.03208], [-4.35069, 2.39440, -1.83522], [-1.49349, -1.33480, 1.26998], [-0.40739, -1.07200, 2.31438], [3.61951, -2.11860, -1.18222], [-3.60189, -3.16770, -0.01272], [-3.13259, -3.08170, -2.41522], [-5.32609, 0.47530, -0.54552], [-2.10009, -2.38740, -3.29362], [0.85981, -1.08600, 5.01018], [-2.51949, -1.51460, -3.81292], [3.37651, 0.50930, -0.16152], [2.60301, 2.88070, 4.41458], [-0.11219, -0.77020, 5.40068], [1.45271, 3.56610, 2.46718], [2.80631, 1.30280, -2.91802], [-3.88989, 1.72870, 1.52948], [2.69681, 2.90230, 1.39518], [-2.25369, -0.54790, 1.32058], [3.26581, -5.87740, -0.27372], [-0.01329, -0.23490, -2.79282], [-0.91439, -1.03090, 3.28058], [1.50461, -1.30620, 5.86048], [-3.51239, 3.08160, -1.94772], [-5.36639, -0.10560, -1.46452], [-6.28079, 0.97720, -0.42182], [5.23591, -2.74640, -2.40992], [0.21391, 5.80710, -0.81722], [0.74401, -2.00290, 4.44098], [-3.46829, 3.17420, 0.58988], [-1.58469, 1.91720, -1.51192], [0.90121, -1.58840, -2.05512], [-4.52509, -3.55430, -0.44112], [-1.71979, 1.93600, 0.15358], [-3.87099, -2.44150, 0.74878], [-5.14769, 2.75430, 0.84468], [0.27191, -1.92720, 2.29288], [-4.16009, -2.84470, -2.69642], [-4.43849, 1.79750, -2.74062], [2.62131, 6.13060, -1.45002], [3.30401, 0.15770, 5.28148], [-5.25369, 2.98980, -1.73902], [4.81101, -0.45520, -1.74182], [3.41851, -0.76680, -2.77682], [0.36151, -1.69840, -3.73222], [-0.64159, 3.53320, -0.57522], [3.98681, 4.10610, -1.90092], [-3.01379, -4.17090, -2.43192], [-1.66929, -3.05030, -4.04442], [1.00361, 2.34540, 1.24848], [-3.06579, -4.00500, 0.44338], [4.22221, 1.82460, -2.00082], [-3.01429, 0.06450, -1.48862], [1.97921, 1.15600, 5.90728], [-5.17939, -0.20470, 0.28958], [-1.94299, -2.28520, 1.56578], [3.89271, 1.86110, 3.75618]],